- - -
Entry 1:
Nd2Si4Ir3: simulated powder X-ray diffraction pattern (λ = 1.5418 Å (Cu Kα)), based on a cell relaxed with PBE.
No peak broadening, texture or thermal motion is included.

The 8 most intense peaks (10 to 80 degrees two-theta), low angle first:
2θ 14.82, I = 100; 2θ 28.99, I = 50; 2θ 35.17, I = 19; 2θ 36.63, I = 33; 2θ 37.03, I = 58; 2θ 39.11, I = 46; 2θ 39.71, I = 23; 2θ 40.09, I = 47

Structural model:
Cell lengths 7.732, 6.597, 5.646 Å; angles 77.90, 56.53, 45.56 degrees
Positions (direct):
Nd  0.134  0.134  0.866
Nd  0.866  0.866  0.134
Si  0.167  0.519  0.481
Si  0.481  0.833  0.167
Si  0.519  0.167  0.833
Si  0.833  0.481  0.519
Ir  0.000  0.000  0.500
Ir  0.500  0.500  0.000
Ir  0.500  0.500  0.500



Entry 2:
NdSi4Ir2: simulated powder X-ray diffraction pattern (λ = 1.5418 Å (Cu Kα)), based on a cell relaxed with PBE.
No peak broadening, texture or thermal motion is included.

The 8 most intense peaks (10 to 80 degrees two-theta), low angle first:
2θ 25.26, I = 53; 2θ 29.58, I = 70; 2θ 29.92, I = 67; 2θ 30.04, I = 54; 2θ 36.64, I = 100; 2θ 36.91, I = 46; 2θ 39.96, I = 41; 2θ 43.06, I = 50

Structural model:
Cell lengths 16.851, 4.201, 6.471 Å; angles 90.00, 90.00, 90.00 degrees
Positions (direct):
Nd  0.141  0.250  0.009
Nd  0.359  0.750  0.509
Nd  0.641  0.250  0.491
Nd  0.859  0.750  0.991
Si  0.031  0.750  0.139
Si  0.065  0.250  0.536
Si  0.181  0.750  0.691
Si  0.194  0.750  0.289
Si  0.306  0.250  0.789
Si  0.319  0.250  0.191
Si  0.435  0.750  0.036
Si  0.469  0.250  0.639
Si  0.531  0.750  0.361
Si  0.565  0.250  0.964
Si  0.681  0.750  0.809
Si  0.694  0.750  0.211
Si  0.806  0.250  0.711
Si  0.819  0.250  0.309
Si  0.935  0.750  0.464
Si  0.969  0.250  0.861
Ir  0.033  0.750  0.746
Ir  0.211  0.250  0.491
Ir  0.289  0.750  0.991
Ir  0.467  0.250  0.246
Ir  0.533  0.750  0.754
Ir  0.711  0.250  0.009
Ir  0.789  0.750  0.509
Ir  0.967  0.250  0.254



Entry 3:
Nd3Si2Ir3: simulated powder X-ray diffraction pattern (λ = 1.5418 Å (Cu Kα)), based on a cell relaxed with PBE.
No peak broadening, texture or thermal motion is included.

The 8 most intense peaks (10 to 80 degrees two-theta), low angle first:
2θ 30.77, I = 52; 2θ 33.15, I = 22; 2θ 33.28, I = 100; 2θ 33.82, I = 31; 2θ 36.86, I = 29; 2θ 37.99, I = 46; 2θ 38.14, I = 67; 2θ 41.33, I = 31

Structural model:
Cell lengths 7.765, 14.960, 5.737 Å; angles 90.00, 90.00, 90.00 degrees
Positions (direct):
Nd  0.026  0.109  0.135
Nd  0.026  0.391  0.135
Nd  0.170  0.250  0.600
Nd  0.330  0.750  0.100
Nd  0.474  0.609  0.635
Nd  0.474  0.891  0.635
Nd  0.526  0.109  0.365
Nd  0.526  0.391  0.365
Nd  0.670  0.250  0.900
Nd  0.830  0.750  0.400
Nd  0.974  0.609  0.865
Nd  0.974  0.891  0.865
Si  0.127  0.599  0.373
Si  0.127  0.901  0.373
Si  0.373  0.099  0.873
Si  0.373  0.401  0.873
Si  0.627  0.599  0.127
Si  0.627  0.901  0.127
Si  0.873  0.099  0.627
Si  0.873  0.401  0.627
Ir  0.164  0.039  0.604
Ir  0.164  0.461  0.604
Ir  0.179  0.750  0.573
Ir  0.321  0.250  0.073
Ir  0.336  0.539  0.104
Ir  0.336  0.961  0.104
Ir  0.664  0.039  0.896
Ir  0.664  0.461  0.896
Ir  0.679  0.750  0.927
Ir  0.821  0.250  0.427
Ir  0.836  0.539  0.396
Ir  0.836  0.961  0.396



Entry 4:
Nd2Si3Ir3: simulated powder X-ray diffraction pattern (λ = 1.5418 Å (Cu Kα)), based on a cell relaxed with PBE.
No peak broadening, texture or thermal motion is included.

The 8 most intense peaks (10 to 80 degrees two-theta), low angle first:
2θ 13.03, I = 50; 2θ 21.80, I = 23; 2θ 31.41, I = 100; 2θ 35.22, I = 27; 2θ 38.56, I = 22; 2θ 45.02, I = 37; 2θ 47.90, I = 46; 2θ 58.41, I = 25

Structural model:
Cell lengths 2.848, 2.848, 20.387 Å; angles 90.00, 90.00, 90.00 degrees
Positions (direct):
Nd  0.000  0.000  0.244
Nd  0.000  0.000  0.756
Si  0.000  0.000  0.000
Si  0.000  0.000  0.387
Si  0.000  0.000  0.613
Ir  0.000  0.000  0.110
Ir  0.000  0.000  0.500
Ir  0.000  0.000  0.890



Entry 5:
- - -
Your job: return every line above that contains the word "PBE".
Nd2Si4Ir3: simulated powder X-ray diffraction pattern (λ = 1.5418 Å (Cu Kα)), based on a cell relaxed with PBE.
NdSi4Ir2: simulated powder X-ray diffraction pattern (λ = 1.5418 Å (Cu Kα)), based on a cell relaxed with PBE.
Nd3Si2Ir3: simulated powder X-ray diffraction pattern (λ = 1.5418 Å (Cu Kα)), based on a cell relaxed with PBE.
Nd2Si3Ir3: simulated powder X-ray diffraction pattern (λ = 1.5418 Å (Cu Kα)), based on a cell relaxed with PBE.